Guthrie Center continues to support community
By Jane Keller Gordon, Assistant Editor

Great Barrington- For those who came of age in the 1960s, Arlo Guthrie’s long, lyrical song, “Alice’s Restaurant Massacree,” is iconic. Written by Guthrie in 1965, when he was 18, it describes events that took place during a Thanksgiving he spent with his former high school teachers, Alice May Brock and her husband Ray Brock, at their home, an old deconsecrated church in Great Barrington.
The song tells the story of Guthrie’s arrest for dumping Alice and Ray’s mound of trash, his encounter with a blind judge, and his subsequent rejection from the New York City draft board during the Vietnam War due to his “criminal record.” The word “massacree,” in the song’s title, means an event that is so bizarre it is unbelievable. It truly was; but grew into Guthrie’s plea to others to resist the draft.

Photo/Jane Keller Gordon
In 1991, the old church became The Guthrie Center, home to the Guthrie Foundation. This past Thanksgiving, like every year since its founding, the center welcomed about 150 people for a free holiday meal. Many radio stations still play the song on Thanksgiving.
George Laye, a long-time friend of Guthrie’s, has been the artistic director and general manager of the center for the past 15 years.

-- begin --
Entry 1:
DFT (ωB97M-V/def2-TZVPD) results for a 4-piece molecular cluster, C28H46O12 overall at a distorted geometry.

```
86
Properties=species:S:1:pos:R:3:forces:R:3
C 0.5770 0.3372 0.3306 0.624 -0.281 -1.297
C 0.8273 -0.9339 -0.6981 -3.068 -4.005 0.232
O 0.0934 -2.0639 -0.6269 5.108 7.676 -0.340
O 1.8857 -0.7769 -1.7209 -3.325 0.822 1.456
C 1.4976 0.2799 -2.7127 0.771 0.481 -1.079
C 0.3586 -0.2901 -3.7456 0.667 -0.092 -0.567
C -0.8048 0.7970 -4.1528 -0.482 -0.894 -0.427
C -2.0907 0.8444 -3.1346 -3.068 0.732 2.786
C -3.0325 -0.4946 -2.7924 -0.977 2.496 1.477
C -2.7436 -1.9873 -3.4659 0.289 1.463 0.975
O -4.0691 -2.5077 -3.9072 3.186 -1.569 3.520
O -4.4736 -1.7490 -4.9166 -2.116 2.864 -2.949
C -4.3499 -0.4313 -1.7709 1.796 3.688 -0.501
C -4.8321 0.9862 -1.0332 4.177 -0.009 -3.152
C -3.9132 2.3168 -1.3922 0.200 -2.313 -0.728
C -2.5774 2.2518 -2.3967 -1.453 -1.977 0.558
C -1.7870 3.7111 -2.6024 3.575 0.407 0.055
O -0.4606 3.8433 -2.6824 -7.983 -0.916 0.259
C -2.8072 5.0356 -2.6495 -3.599 -0.463 2.761
C -4.0322 5.0953 -1.7550 3.407 -1.679 -2.013
C -4.3395 3.7986 -0.7442 -0.992 0.656 3.568
O -4.8421 3.9656 0.4819 2.847 -1.196 -7.665
H -0.1461 0.0237 1.1961 1.519 0.574 -1.874
H 1.6311 0.6995 0.6972 -2.088 -0.835 -0.467
H 0.1344 1.2186 -0.3246 0.670 -1.868 1.449
H 2.4940 0.4777 -3.3376 -2.164 -0.527 1.548
H 1.2300 1.3048 -2.2073 0.245 -2.107 -0.840
H 0.9328 -0.5518 -4.7589 -1.311 0.530 2.191
H -0.0406 -1.3088 -3.3300 0.561 2.078 -0.674
H -1.2325 0.4507 -5.2119 0.819 0.745 2.309
H -0.2720 1.8244 -4.3270 -1.402 -1.786 0.672
H -2.2679 -2.6824 -2.6318 -1.393 1.158 -1.855
H -1.9772 -1.8895 -4.3551 -1.810 -0.196 1.582
H -5.1973 -1.1370 -4.5861 1.206 -0.958 -0.037
H -4.9920 -1.3925 -1.5663 1.580 2.025 -0.581
H -5.7663 1.0674 -0.3181 2.234 -0.191 -1.672
H -2.6364 5.9418 -3.3715 0.070 -2.057 1.570
H -4.7977 5.9855 -1.7686 1.845 -1.893 0.149
C -0.3561 -8.0724 -1.7830 0.252 -0.039 -0.066
O 0.2321 -7.5017 -2.9480 -0.560 0.158 0.054
C -0.7473 -6.9720 -3.8489 0.509 0.217 0.127
C -0.8915 -5.4554 -3.6947 -0.381 -0.208 0.259
O -1.4051 -5.1008 -2.4103 0.182 -0.336 -0.330
C -0.3820 -4.7031 -1.5020 0.106 0.104 -0.185
H 0.4225 -8.1704 -1.0214 -0.029 0.006 -0.180
H -1.1587 -7.4537 -1.3757 0.014 0.037 -0.084
H -0.7446 -9.0676 -2.0182 -0.085 -0.030 0.073
H -1.7123 -7.4763 -3.7112 0.075 0.149 0.061
H -0.3988 -7.1919 -4.8630 -0.017 0.031 0.010
H -1.6101 -5.0943 -4.4377 -0.009 -0.041 -0.023
H 0.0649 -4.9475 -3.8831 -0.054 -0.166 0.081
H -0.0862 -3.6733 -1.7148 0.038 -0.451 0.041
H 0.4964 -5.3518 -1.5574 -0.082 -0.083 -0.052
H -0.7832 -4.7521 -0.4887 -0.092 0.070 -0.098
C 3.9607 0.7889 5.8740 0.161 -0.077 0.030
O 4.0258 -0.5887 5.5179 -0.453 0.137 -0.320
C 2.8192 -1.0487 4.8981 0.590 -0.099 -0.086
C 2.9488 -1.0845 3.3728 -0.276 0.204 0.210
O 3.1178 0.2236 2.8254 0.332 -0.212 0.154
C 4.4809 0.5274 2.5435 -0.080 0.037 -0.038
H 4.9802 1.1448 6.0463 -0.103 -0.147 0.014
H 3.5114 1.4014 5.0892 -0.021 -0.044 0.063
H 3.3882 0.9019 6.7993 -0.052 0.119 -0.002
-- stop --
The records of molecules stop here:

Photo/Jane Keller Gordon
“We welcome people in need and people new to town. We never turn anyone away. It’s just lovely, like any other Thanksgiving dinner, but we don’t get into politics with our relatives,” he said.
Much of what takes place at the Guthrie Foundation honors Arlo’s philosophy, and that of his parents, Marjorie Mazia-Guthrie and Woody Guthrie, the iconic American folksinger- songwriter. Woody Guthrie passed away in 1967 of Huntington’s disease.
The Guthrie Center’s mission, “Take Care. Give Care.” is reflected in the many interfaith services and spiritual events held at the center, Laye said.

Photo/Jane Keller Gordon
The church’s former sanctuary is now split into an entry way, with the kitchen on the left, and offices on the right. In the back is the performance space, which holds 100 people. The bones of the church are still there, as is a recently refurbished stained-glass window. Concert posters cover the walls, memorabilia fills the space, and now original oil paintings of a Guthrie clan from Scotland hang in the performance hall.
Every Thursday night, except for Thanksgiving, the center holds a “hootenanny,” which is an open mic. On the weekends, Laye schedules well known and up-and-coming acts.
“I’m always looking for new talent, especially young talent. I called it my Youth Spotlight Program. A while ago a group called Harpeth Rising came to me. I heard them, and thought, ‘Gee-whiz, they are wonderful.’ Now they sell out every year,” said Laye.
Many “Toms” have played at the Guthrie: Paxton, Chapin, and Rush. Laye is working on the schedule for next year for the Troubadour series. Tickets range in price from $15 to $75, with the lower cost for members. Food is served.
“Our veggie chili and cornbread is amazing,” Laye said.
In addition to music, the Guthrie Foundation holds a free lunch every Wednesday, during which free legal aid is also given. The food is donated by several businesses in the area.
Laye also described a tutoring service that the center operates, matching volunteers with children and adults. In the summer, there are free yoga classes.
Every spring, the Guthrie holds a “garbage walk” to raise funds for Huntington’s disease.
“There’s no set date. It’s a couple of weeks before Memorial Day. We gather a fleet of VW Microbuses, like the one Arlo used to transport the trash, and shuttle people to the police station in Stockbridge, and stop at Alice’s former restaurant there. Last year we raised about $15,000 and it all went to research,” said Laye.
Laye is now collecting musical instruments so he can lend them to those in need.
“If there’s young musician starting out, I will give them a guitar or some other instrument,” he noted.
Thanks to all the good work at the center, Laye said, “I sleep well at night.”
To learn more and support the center, visit It is located at 2 Van Deusenville in Great Barrington, Mass.